Summary: A look at what makes a healthy and unified church.

The Church - Unity

Romans 14:1-13

October 4, 2015

A man died and met St Peter at the gate. Peter asked, “Would you like a tour?” The man said, “Sure.” So, Peter led the man down a long hall with many doors. They stopped at the first door and Peter opened it and said with a whisper, “These are the Pentecostals.” He quietly closed the door and went to the next door. As he opened that door, Peter whispered, “Here are the Baptists.” Again, he quietly closed that door, and this went on door after door.

The man was confused. Finally, Peter whispered, “This is the last one I’ll show you.” He quietly opened the last door and whispered, “Here are some non-denominationalists.”

Peter shut the last door, and led the man back to the pearly gates. He asked Peter, “Why did you have to whisper?” Peter replied, “Because each group thinks they are the only ones in heaven.”

That will lead us into our discussion for today. My focus is pretty specific. It’s about First Baptist Church. It’s about who we are and who we will be. So, the focus is not so much about us against other denominations, it’s really more about us against us. It’s true in most churches, we can easily get caught up in things that are not essential.

The 16th century Lutheran theologian, Rupertus Meldenius wrote ~ “In essentials unity, in non-essentials liberty, in all things charity.”

That’s a great reminder for us. What is essential? Where is our starting point for a church to maintain unity? Meldenius reminds us it’s in the essentials.

For the past 3 weeks we’ve been looking at the church, and the call for unity. For 3 weeks we’ve looked at the passage from Paul in Ephesians 4:1-6. Paul is calling for oneness in the church. He urges us to demonstrate 5 virtues — humility, gentleness, patience, love and peace – which will help us to maintain the unity of the church.

He spoke of our common oneness in the church. We are ONE body, with ONE Spirit, with ONE hope . . . having ONE Lord, ONE Faith, ONE baptism and ONE God and Father who is over all and through all and in all.

Today, I want to start unpacking what the church is supposed to look like. If we are to maintain the unity, how do we accomplish that? It’s not always easy. So, where do we start? I spoke about the 5 virtues last week, but I believe it starts with Jesus and our relationship with Him. If He is Lord of our lives, then we are called to be obedient to Him. In Mark 12, the following took place —

28 And one of the scribes came up and heard them disputing with one another, and seeing that He answered them well, asked Jesus, “Which commandment is the most important of all?”

29 Jesus answered, “The most important is, ‘Hear, O Israel: The Lord our God, the Lord is one.

30 And you shall love the Lord your God with all your heart and with all your soul and with all your mind and with all your strength.’

# Materials data, kept here for reference
LaOsN3: theoretical powder diffraction line list (a wavelength of 1.5418 Å), based on DFT lattice parameters and positions (GGA-PBE).
Neutral-atom scattering factors, no anomalous dispersion.

Principal peaks in the range 10 to 90 degrees two-theta, low angle first:
(1 1 0), 2θ 31.99, I = 100; (1 0 4), 2θ 32.14, I = 100; (0 2 4), 2θ 45.98, I = 49; (3 0 0), 2θ 57.08, I = 61; (0 1 8), 2θ 57.39, I = 20; (2 0 8), 2θ 67.23, I = 15; (1 3 4), 2θ 76.15, I = 17; (1 2 8), 2θ 76.40, I = 17

Atomic structure:
```
data_LaOsN3
_chemical_formula_sum 'La6 Os6 N18'
_cell_length_a 5.5954
_cell_length_b 5.5954
_cell_length_c 13.6136
_cell_angle_alpha 90.00
_cell_angle_beta 90.00
_cell_angle_gamma 120.00
_symmetry_space_group_name_H-M 'R -3 c'
_symmetry_Int_Tables_number 167
_symmetry_space_group_name_Hall '-R 3 2"c'
loop_
_atom_site_label
_atom_site_type_symbol
_atom_site_fract_x
_atom_site_fract_y
_atom_site_fract_z
_atom_site_occupancy
La1 La 0.0000 0.0000 0.2500 1
Os1 Os 0.0000 0.0000 0.0000 1
N1 N 0.0000 0.4561 0.2500 1
```

=====

1.
# Na7Tl3Hg
Computed powder diffractogram, Cu Kα, 1.54184 Å. Input: DFT lattice parameters and positions (PBE).
Kinematic intensities with the Lorentz-polarization factor, no thermal factor.

Most intense lines, 5° ≤ 2θ ≤ 70°, sorted by position:
2θ = 5.8°, rel. 95
2θ = 13.8°, rel. 99
2θ = 14.9°, rel. 47
2θ = 17.5°, rel. 56
2θ = 23.2°, rel. 92
2θ = 24.5°, rel. 100
2θ = 32.0°, rel. 100
2θ = 32.6°, rel. 41
2θ = 33.5°, rel. 92
2θ = 34.6°, rel. 48
2θ = 36.2°, rel. 46
2θ = 41.6°, rel. 45

Structure:
Unit cell a=15.354 b=15.354 c=11.874 alpha=90.00 beta=90.00 gamma=166.34
Fractional coordinates of all 22 atoms:
1 Na 0.028 0.972 0.614
2 Na 0.028 0.972 0.886
3 Na 0.138 0.862 0.250
4 Na 0.142 0.858 0.554
5 Na 0.142 0.858 0.946
6 Na 0.274 0.726 0.605
7 Na 0.274 0.726 0.895
8 Na 0.726 0.274 0.105
9 Na 0.726 0.274 0.395
10 Na 0.858 0.142 0.054
11 Na 0.858 0.142 0.446
12 Na 0.862 0.138 0.750
13 Na 0.972 0.028 0.114
14 Na 0.972 0.028 0.386
15 Tl 0.300 0.700 0.250
16 Tl 0.435 0.565 0.612
17 Tl 0.435 0.565 0.888
18 Tl 0.565 0.435 0.112
19 Tl 0.565 0.435 0.388
20 Tl 0.700 0.300 0.750
21 Hg 0.402 0.598 0.250
22 Hg 0.598 0.402 0.750

***

2.
# Na4TlHg
Computed powder diffractogram, Cu Kα, 1.54184 Å. Input: DFT lattice parameters and positions (PBE).
Kinematic intensities with the Lorentz-polarization factor, no thermal factor.

Most intense lines, 5° ≤ 2θ ≤ 70°, sorted by position:
2θ = 18.2°, rel. 100
2θ = 19.5°, rel. 36
2θ = 27.9°, rel. 55
2θ = 30.4°, rel. 21
2θ = 31.0°, rel. 27
2θ = 33.3°, rel. 43
2θ = 36.3°, rel. 62
2θ = 36.8°, rel. 15
2θ = 42.1°, rel. 37
2θ = 50.6°, rel. 19
2θ = 58.7°, rel. 16
2θ = 64.6°, rel. 16

Structure:
Unit cell a=5.773 b=3.419 c=9.121 alpha=90.00 beta=90.07 gamma=90.00
Fractional coordinates of all 6 atoms:
1 Na 0.001 0.000 0.191
2 Na 0.499 0.500 0.677
3 Na 0.501 0.500 0.323
4 Na 0.999 0.000 0.809
5 Tl 0.500 0.000 0.000
6 Hg 0.000 0.500 0.500

***

3.
# Na4TlHg3

31 The second is this: ‘You shall love your neighbor as yourself.’ There is no other commandment greater than these.” – Mark 12:28-31

That last sentence should strike us. There is no commandment greater than these.

So, our call is to love the Lord our God with everything that we have — heart, spirit, mind and body. Nothing is excluded in our love of the Lord, nothing! I’m quickly moving through this . . . Next Jesus tells us to love our neighbor as we love ourselves. Assuming we love ourselves, we are called to love those around us. That does not mean we get to pick and choose.

We don’t get to say I don’t love that person because they are . . . white / black / red / too skinny / too big / not the right theology / too liberal / too conservative / too open minded / too closed minded (you can fill in the blank).

It also means our actions must be predicated on love. It means we have to find ways to love one another. If we don’t love one another, what are we then doing to one another. In my eyes we are destroying one another. When talking about the royal law, James said it very well —

28 If you really fulfill the royal law according to the Scripture, “You shall love your neighbor as yourself,” you are doing well. – James 2:8

So, the bottom line is a call to love God with all that we have and to love our neighbors. Those are the great commandments and royal law. So, what does all of that mean when we are relating to one another? Especially when we might even disagree with one another. What then do we do?

Believe it or not, the early church was filled with people who didn’t always get it either. That’s one of the beauties of the Bible, God helps us to see that people have always had a sin issue, and we are no different. In Romans 14-15, Paul seeks to build the harmony and unity of the church. There were some issues at hand that Paul had to address so the unity could be maintained.

The differences came as the result of what types of food could be eaten and what festivals were to be celebrated. There were those whom Paul considered weaker in faith and those who were stronger in the faith. This was not meant as an insult, he was simply stating that some who were new to faith in Christ were living their faith differently than those who were more mature in their faith. BUT, and this is crucial, Paul is telling the church neither was wrong.

The disagreement could have been over church governance, it could have been over styles of music or clothes, or the version of the Bible used, or tithing. The list of differences could go on. The important point is how to resolve it.

Paul starts out in Romans 14:1 by stating — 1 As for the one who is weak in faith, welcome him, but not to quarrel over opinions. (ESV) – Romans 14:1

1 Now accept the one who is weak in faith, but not for the purpose of passing judgment on his opinions. (NASB)

As we begin to move through this important section of scripture, I want you to fully understand what Paul wanted the stronger in faith to do. And remember, there are some who are more knowledgeable in the faith. BUT — and understand this very carefully and clearly, they have the same standing — the same salvation as those who had the weaker faith!

Salvation is not contingent on what you know, it’s about who you know! They all claimed Jesus as Lord and Savior and the weaker and stronger in the faith were all Christians. That’s why this was distressing to Paul, they were brothers and sisters in Christ. There should have been unity, they should have been proclaiming to the world with one voice, Christ is Lord . . . but they weren’t because of the discord and divisiveness within the church.

When Paul refers to those who are weak, he’s not talking about physical strength, he’s referring to their spiritual maturity. They had more of a simple faith in Christ.

So, Paul explains these stronger / more knowledgeable Christians are to welcome those who are weaker. When we think of welcome, we may think . . . OK, just say “hello” and all’s good. But that’s not what Paul had in mind. Paul wanted more from these stronger Christians. And frankly, this is where our faith gets put to the test. And so many times we don’t pass the test. We hold onto what we think is our elite status, we hold onto ignorance and arrogance and don’t follow Paul’s words, even when we think we know the word.

Paul wants them to Welcome / Accept / Receive those who are weaker. This is the word welcome in the ESV, but accept in the NASB. In Greek this word literally means ~

Aggressively receive, with strong personal interest. Grant one access to one's heart; to take into friendship.

Do you hear how we are supposed to act with one another. This is so much more than just a simple “hello,” I did my Christian duty, now let me get to those who are more worthy of my time. You see, when we don’t agree with someone at work, in school or in the church, we tend to shun them. We may view others with the attitude they are not correct, therefore, they are not as good as we are. And Paul is telling us NO WAY!

They are different and we’ll get to that next week. As someone said last Wednesday night at Bible Study, ‘why can’t we just have a simple childlike faith.’ That would solve lots of problems, wouldn’t it? So, our call within the church is to invest ourselves in one another. I love the way the word WELCOME / ACCEPT is defined - - - - to aggressively receive someone, take a strong personal interest in them, grant them access to your heart, to take them into friendship.

It doesn’t mean you are going to convert them to your way of thinking, it is not about that. Actually, getting someone to believe the way you think they need to believe is not that important. Remember, we are going on the basis that the other person is a believer in Christ. It’s about loving your neighbor, because you have experienced the love of Christ.

Now, Paul says don’t quarrel or pass judgement on the other person.

We are not to pass judgement or quarrel with one another over the issues. We can become so focused on wanting to demonstrate and prove we have the answers and we are right. We lose sight of the other person and we show we really don’t care about them because we have never welcomed them into our hearts.

It’s all about us winning the war of who’s right. You may win the battle, but will you win the war? Will you lose that person as a brother or sister in Christ? Will you turn them away from the church because of your attitude? And your need to be right all of the time.

Remember they are weaker in faith, so their faith is raw and not fully developed. It’s not about who’s right and wrong about theology or the way the church is run, about what meat is eaten, or what festivals are celebrated, or anything like that. It’s a call from God, through Paul, not to pass judgement on others. Not to quarrel with others, not to be critical of others because they live their faith in a different manner than you do. Yet in an acceptable manner . . . according to God.

Finally, Paul tells us it’s about the opinions.

The word Paul uses for expressing our opinions is not a positive meaning word. You don’t want someone to use this word to describe your opinions. The word opinion literally means ~

Reasoning that is self-based and therefore confused – especially as it contributes to reinforcing others in discussion to remain in their initial prejudice. The reasoning of those who think themselves to be wise.

So, Paul is telling us that sometimes are opinions are meant to confuse more than help solve a situation. Why does Paul state our opinion is confused? Because it is self-based! It is based not off of the Word of God, but it comes from our own pride or self-righteousness. This is why when we offer an opinion or thought about something which will foster disagreement or divisiveness — — we need to check out who the author of our response is. Again, Paul tells us our opinions are the result of our thinking ourselves to be wise . . . when very possibly our response is more out of foolishness than wisdom.

Are we the author or are our words coming from God? That is a crucial question we need to ask ourselves and it comes from a greater self-awareness of ourselves and a greater awareness of the presence of God in our lives.

We’ve really only started to touch the surface of where we will be at over the next weeks. There is so much more to talk about, but we are going to stop for today.

I want you to walk away today considering how you maintain the unity of the church or how you help bring about divisiveness to the unity of the church. That is a really heavy way to end a sermon, but one I believe is going to help First Baptist Church continue to become more and more the church Christ is calling us to be.

Are you welcoming of others?

Are you freely passing judgement or quarreling?

## Records of crystals that have nothing to do with the article
=====
No. 1
# Er9Fe10Ge10
Theoretical powder XRD pattern, a wavelength of 1.5418 Å. Input: a GGA-PBE-relaxed structure.

Peak list (12 most intense, 10° ≤ 2θ ≤ 80°, most intense first)
hkl	two_theta	Rel. int.
1 3 4	36.73	1000
0 4 4	37.22	886
1 4 1	32.34	869
1 0 5	36.13	806
2 1 3	39.45	723
2 3 1	39.94	612
2 0 0	33.58	538
0 0 6	38.47	512
1 4 5	45.55	379
0 6 0	40.68	346
2 7 3	63.25	344
1 3 2	29.10	283

Crystal structure
Unit cell a=5.337 b=13.308 c=14.049 alpha=90.00 beta=90.00 gamma=90.00
Space group Immm (No. 71)
Unique sites:
Er 0.000 0.000 0.000 [2 per cell]
Er 0.000 0.148 0.364 [8 per cell]
Er 0.000 0.278 0.000 [4 per cell]
Er 0.000 0.500 0.198 [4 per cell]
Fe 0.000 0.500 0.405 [4 per cell]
Fe 0.243 0.356 0.345 [16 per cell]
Ge 0.000 0.000 0.208 [4 per cell]
Ge 0.000 0.288 0.205 [8 per cell]
Ge 0.000 0.330 0.500 [4 per cell]
Ge 0.248 0.500 0.000 [4 per cell]



No. 2
# Li3GaHg
Theoretical powder XRD pattern, a wavelength of 1.5418 Å. Input: a GGA-PBE-relaxed structure.

Peak list (12 most intense, 10° ≤ 2θ ≤ 80°, most intense first)
hkl	two_theta	Rel. int.
1 1 0	26.26	1000
0 0 1	12.52	782
0 0 2	25.19	536
1 0 -1	18.96	530
1 1 2	39.70	520
2 1 -1	40.06	366
1 1 -1	27.23	321
0 2 0	39.31	270
1 1 -2	33.49	224
0 2 2	47.26	203
1 0 -3	38.01	196
1 1 1	31.04	196

Crystal structure
Unit cell a=5.204 b=4.584 c=7.289 alpha=90.00 beta=104.05 gamma=90.00
Space group P2_1/m (No. 11)
Unique sites:
Li 0.058 0.250 0.313 [2 per cell]
Li 0.267 0.250 0.722 [2 per cell]
Li 0.441 0.250 0.123 [2 per cell]
Ga 0.135 0.750 0.067 [2 per cell]
Hg 0.309 0.750 0.473 [2 per cell]



No. 3
# Tb3ThMg4
Theoretical powder XRD pattern, a wavelength of 1.5418 Å. Input: a GGA-PBE-relaxed structure.

Peak list (12 most intense, 10° ≤ 2θ ≤ 80°, most intense first)
hkl	two_theta	Rel. int.
1 1 2	33.26	1000
1 0 0	23.35	665
2 2 0	59.44	380
2 1 2	53.81	288
1 2 0	41.04	208
2 0 0	47.75	182
3 1 2	79.58	163
3 0 0	74.77	138
0 4 0	69.84	117
0 0 2	16.46	11
0 1 3	29.90	10
1 0 1	24.79	7

Crystal structure
Unit cell a=3.811 b=5.389 c=10.766 alpha=90.00 beta=90.00 gamma=90.00
Space group Pmmm (No. 47)
Unique sites:
Tb 0.000 0.000 0.000 [1 per cell]
Tb 0.000 0.500 0.253 [2 per cell]
Th 0.000 0.000 0.500 [1 per cell]
Mg 0.500 0.000 0.245 [2 per cell]
Mg 0.500 0.500 0.000 [1 per cell]
Mg 0.500 0.500 0.500 [1 per cell]



No. 4
# Ni5MoPt8
Theoretical powder XRD pattern, a wavelength of 1.5418 Å. Input: a GGA-PBE-relaxed structure.

Peak list (12 most intense, 10° ≤ 2θ ≤ 80°, most intense first)
hkl	two_theta	Rel. int.
3 1 0	38.27	1000
2 1 1	29.37	705
1 2 3	45.30	652
3 1 2	45.50	562
1 0 3	37.87	528
2 3 1	45.63	442
2 4 2	60.94	247
4 3 1	63.83	204
5 2 3	79.22	190
3 1 4	63.33	165
2 2 2	41.94	149
1 6 1	79.43	137

Crystal structure
Unit cell a=7.433 b=7.433 c=7.522 alpha=90.00 beta=90.00 gamma=90.00
Space group I-4 (No. 82)
Unique sites:
Ni 0.000 0.000 0.000 [2 per cell]
Ni 0.114 0.202 0.414 [8 per cell]
Mo 0.000 0.500 0.750 [2 per cell]
Pt 0.067 0.334 0.077 [8 per cell]
Pt 0.106 0.177 0.746 [8 per cell]



No. 5
=====
## So much for the records of crystals

Are you freely giving your opinions, not God’s statements?

Hopefully you will answer

-- Data records, kept here for reference --
Calculated powder diffraction line list
Compound: PmBeSi2Ir
Radiation: copper Kα
Structure: a structure optimized by DFT (PBE)

Cell and atoms:
```
PmBeSi2Ir
1.0
3.960 0.000 0.000
0.000 3.960 0.000
0.000 0.000 10.367
Pm Be Si Ir
2 2 4 2
Direct
0.000 0.000 0.000
0.500 0.500 0.500
0.000 0.500 0.250
0.500 0.000 0.750
0.000 0.000 0.380
0.000 0.000 0.620
0.500 0.500 0.120
0.500 0.500 0.880
0.000 0.500 0.750
0.500 0.000 0.250
```

Top 8 peaks for 2θ = 10–90°, by intensity:
| 2θ/deg | intensity | h k l |
| --- | --- | --- |
| 24.1 | 100 | 1 0 1 |
| 36.5 | 94 | 1 1 2 |
| 34.4 | 62 | 1 0 3 |
| 45.8 | 33 | 2 0 0 |
| 58.6 | 27 | 2 1 3 |
| 52.4 | 25 | 2 1 1 |
| 49.6 | 23 | 1 0 5 |
| 78.6 | 21 | 3 1 2 |

***

Calculated powder diffraction line list
Compound: PmTiBeIr2
Radiation: copper Kα
Structure: a structure optimized by DFT (PBE)

Cell and atoms:
```
PmTiBeIr2
1.0
3.960 0.000 0.000
0.000 3.960 0.000
0.000 0.000 11.365
Pm Ti Be Ir
2 2 2 4
Direct
0.000 0.000 0.000
0.500 0.500 0.500
0.000 0.500 0.750
0.500 0.000 0.250
0.000 0.500 0.250
0.500 0.000 0.750
0.000 0.000 0.382
0.000 0.000 0.618
0.500 0.500 0.118
0.500 0.500 0.882
```

Top 8 peaks for 2θ = 10–90°, by intensity:
| 2θ/deg | intensity | h k l |
| --- | --- | --- |
| 32.7 | 100 | 1 0 3 |
| 32.0 | 81 | 1 1 0 |
| 46.0 | 59 | 1 0 5 |




And you will be able to say yes, I do my best to maintain the unity of the church by living my life with all

humility, gentleness, patience, love and peace